Input:
........
# Ac2Pr7Er4

A geometry-optimized Ac2Pr7Er4 structure (PBE, Alexandria via LeMat-Bulk).

a b c (Å): 6.3768 6.3768 13.2950
angles (deg): 90.00 90.00 120.00
With the nearest neighbours (Å) after each atom.
Sites, in units of the cell vectors:
Ac 0.3333 0.6667 0.0000  3 Ac 3.68, 9 Pr 3.68-3.69
Ac 0.6667 0.3333 0.0000  3 Ac 3.68, 9 Pr 3.68-3.69
Pr 0.0000 0.3751 0.7675  1 Er 3.21, 4 Pr 3.47
Pr 0.6249 0.0000 0.2325  1 Er 3.21, 4 Pr 3.47
Pr 0.6249 0.6249 0.7675  1 Er 3.21, 4 Pr 3.47
Pr 0.0000 0.0000 0.0000  6 Ac 3.68, 6 Pr 3.91
Pr 0.3751 0.0000 0.7675  1 Er 3.21, 4 Pr 3.47
Pr 0.3751 0.3751 0.2325  1 Er 3.21, 4 Pr 3.47
Pr 0.0000 0.6249 0.2325  1 Er 3.21, 4 Pr 3.47
Er 0.3333 0.6667 0.5000  9 Er 3.68-3.95, 6 Pr 4.08
Er 0.6667 0.3333 0.5000  9 Er 3.68-3.95, 6 Pr 4.08
Er 0.0000 0.0000 0.3933  1 Er 2.84
Er 0.0000 0.0000 0.6067  1 Er 2.84

Summary:
Energy of formation: 2.7 eV/f.u.

# Sb2PbSe

A geometry-optimized Sb2PbSe structure (PBE, Alexandria via LeMat-Bulk).

a b c (Å): 3.6422 3.6422 8.0822
angles (deg): 90.00 90.00 90.00
With the nearest neighbours (Å) after each atom.
Sites, in units of the cell vectors:
Se 0.5000 0.5000 0.2500  8 Sb 3.12
Sb 0.0000 0.0000 0.4683  4 Se 3.12, 4 Pb 3.44
Sb 0.0000 0.0000 0.0317  4 Se 3.12, 4 Pb 3.44
Pb 0.5000 0.5000 0.7500  8 Sb 3.44, 4 Pb 3.64

Summary:
Formation energy from raw total energies: 155 meV per atom

# Ac2Pm3Nd

A geometry-optimized Ac2Pm3Nd structure (PBE, Alexandria via LeMat-Bulk).

a b c (Å): 3.6038 10.6065 16.7705
angles (deg): 47.86 83.83 80.22
With the nearest neighbours (Å) after each atom.
Sites, in units of the cell vectors:
Ac 0.6258 0.1217 0.6266  2 Ac 3.60, 6 Pm 3.64-3.80, 2 Nd 3.66-3.67
Ac 0.8749 0.3759 0.8744  2 Ac 3.60, 6 Pm 3.65-3.80, 2 Nd 3.80
Ac 0.1251 0.6241 0.1256  2 Ac 3.60, 6 Pm 3.65-3.80, 2 Nd 3.80
Ac 0.3742 0.8783 0.3734  2 Ac 3.60, 6 Pm 3.64-3.80, 2 Nd 3.66-3.67
Pm 0.7015 0.7005 0.8965  6 Pm 3.60-3.68, 4 Ac 3.64-3.80
Pm 0.9513 0.9525 0.1450  4 Pm 3.60-3.68, 4 Ac 3.65-3.80, 2 Nd 3.69
Pm 0.2015 0.2005 0.3965  4 Pm 3.60-3.67, 4 Ac 3.64-3.80, 2 Nd 3.69
Pm 0.7985 0.7995 0.6035  4 Pm 3.60-3.67, 4 Ac 3.64-3.80, 2 Nd 3.69
Pm 0.2985 0.2995 0.1035  6 Pm 3.60-3.68, 4 Ac 3.64-3.80
Pm 0.0487 0.0475 0.8550  4 Pm 3.60-3.68, 4 Ac 3.65-3.80, 2 Nd 3.69
Nd 0.4516 0.4518 0.6449  2 Nd 3.60, 4 Ac 3.66-3.80, 4 Pm 3.69
Nd 0.5484 0.5482 0.3551  2 Nd 3.60, 4 Ac 3.66-3.80, 4 Pm 3.69

Summary:
Energy of formation: 1.3 eV/f.u.

# Ti2Nb5Ru

A geometry-optimized Ti2Nb5Ru structure (PBE, Alexandria via LeMat-Bulk).

a b c (Å): 3.2185 6.5344 13.0942
angles (deg): 90.00 90.00 90.00
With the nearest neighbours (Å) after each atom.
Sites, in units of the cell vectors:
Nb 0.0000 0.5200 0.2509  4 Nb 2.79-2.87, 4 Ti 2.86-2.88
Nb 0.0000 0.5000 0.5000  4 Nb 2.78, 4 Ti 2.86
Nb 0.5000 0.2428 0.8762  6 Nb 2.78-2.87, 2 Ru 2.84
Nb 0.0000 0.0200 0.2491  4 Nb 2.79-2.87, 4 Ti 2.86-2.88
Nb 0.0000 0.4800 0.7491  4 Nb 2.79-2.87, 4 Ti 2.86-2.88
Nb 0.5000 0.7428 0.6238  6 Nb 2.78-2.87, 2 Ru 2.84
Nb 0.0000 0.9800 0.7509  4 Nb 2.79-2.87, 4 Ti 2.86-2.88
Nb 0.5000 0.7572 0.1238  6 Nb 2.78-2.87, 2 Ru 2.84
Nb 0.5000 0.2572 0.3762  6 Nb 2.78-2.87, 2 Ru 2.84
Nb 0.0000 0.0000 0.0000  4 Nb 2.78, 4 Ti 2.86
Ru 0.0000 0.0000 0.5000  4 Ti 2.68, 4 Nb 2.84
Ru 0.0000 0.5000 0.0000  4 Ti 2.68, 4 Nb 2.84
Ti 0.5000 0.2255 0.6182  2 Ru 2.68, 6 Nb 2.86-2.88
Ti 0.5000 0.2745 0.1182  2 Ru 2.68, 6 Nb 2.86-2.88
Ti 0.5000 0.7745 0.3818  2 Ru 2.68, 6 Nb 2.86-2.88
Ti 0.5000 0.7255 0.8818  2 Ru 2.68, 6 Nb 2.86-2.88

Summary:
Energy of formation: -1.2 eV/f.u.

# DyY3Hg4

A geometry-optimized DyY3Hg4 structure (PBE, Alexandria via LeMat-Bulk).

a b c (Å): 3.7275 3.7275 14.9076
angles (deg): 90.00 90.00 90.00
With the nearest neighbours (Å) after each atom.
Sites, in units of the cell vectors:
Y 0.5000 0.5000 0.7503  8 Hg 3.23
Y 0.5000 0.5000 0.5000  8 Hg 3.23
Y 0.5000 0.5000 0.2497  8 Hg 3.23
Hg 0.0000 0.0000 0.1241  4 Dy 3.22, 4 Y 3.23
Hg 0.0000 0.0000 0.3749  8 Y 3.23
Hg 0.0000 0.0000 0.6251  8 Y 3.23
Hg 0.0000 0.0000 0.8759  4 Dy 3.22, 4 Y 3.23
........
Activity:
Could you restate the part of the entries earlier on that starts with the line with "0.6035" and stops after the one with "0.8818"?
Reply:
Pm 0.7985 0.7995 0.6035  4 Pm 3.60-3.67, 4 Ac 3.64-3.80, 2 Nd 3.69
Pm 0.2985 0.2995 0.1035  6 Pm 3.60-3.68, 4 Ac 3.64-3.80
Pm 0.0487 0.0475 0.8550  4 Pm 3.60-3.68, 4 Ac 3.65-3.80, 2 Nd 3.69
Nd 0.4516 0.4518 0.6449  2 Nd 3.60, 4 Ac 3.66-3.80, 4 Pm 3.69
Nd 0.5484 0.5482 0.3551  2 Nd 3.60, 4 Ac 3.66-3.80, 4 Pm 3.69

Summary:
Energy of formation: 1.3 eV/f.u.

# Ti2Nb5Ru

A geometry-optimized Ti2Nb5Ru structure (PBE, Alexandria via LeMat-Bulk).

a b c (Å): 3.2185 6.5344 13.0942
angles (deg): 90.00 90.00 90.00
With the nearest neighbours (Å) after each atom.
Sites, in units of the cell vectors:
Nb 0.0000 0.5200 0.2509  4 Nb 2.79-2.87, 4 Ti 2.86-2.88
Nb 0.0000 0.5000 0.5000  4 Nb 2.78, 4 Ti 2.86
Nb 0.5000 0.2428 0.8762  6 Nb 2.78-2.87, 2 Ru 2.84
Nb 0.0000 0.0200 0.2491  4 Nb 2.79-2.87, 4 Ti 2.86-2.88
Nb 0.0000 0.4800 0.7491  4 Nb 2.79-2.87, 4 Ti 2.86-2.88
Nb 0.5000 0.7428 0.6238  6 Nb 2.78-2.87, 2 Ru 2.84
Nb 0.0000 0.9800 0.7509  4 Nb 2.79-2.87, 4 Ti 2.86-2.88
Nb 0.5000 0.7572 0.1238  6 Nb 2.78-2.87, 2 Ru 2.84
Nb 0.5000 0.2572 0.3762  6 Nb 2.78-2.87, 2 Ru 2.84
Nb 0.0000 0.0000 0.0000  4 Nb 2.78, 4 Ti 2.86
Ru 0.0000 0.0000 0.5000  4 Ti 2.68, 4 Nb 2.84
Ru 0.0000 0.5000 0.0000  4 Ti 2.68, 4 Nb 2.84
Ti 0.5000 0.2255 0.6182  2 Ru 2.68, 6 Nb 2.86-2.88
Ti 0.5000 0.2745 0.1182  2 Ru 2.68, 6 Nb 2.86-2.88
Ti 0.5000 0.7745 0.3818  2 Ru 2.68, 6 Nb 2.86-2.88
Ti 0.5000 0.7255 0.8818  2 Ru 2.68, 6 Nb 2.86-2.88